Sunday, March 9, 2025

2025 Theme Reveal #AtoZChallenge Bloghop

#AtoZChallenge 2025
Please check out the April Blogging from A to Z Challenge
AtoZChallenge theme reveal 2025 #atozchallenge

My theme this year is going to be memories. A sort of alphabet of an autobiography, if you will. 

It's what we are, and one never knows when they could be gone. So I'll put some here. Hopefully they'll be interesting. 

Wednesday, March 5, 2025


Happy birthday to my husband John.
(Eating birthday potato soup from our friends Katie and Bob.)

Alternative to the orange felon's speech last night. Approximately 150k were watching when I last looked. 

This is an annoyance. I got a pineapple 🍍 coconut 🥥 slushie from my favorite food truck. And, while carrying it home, I slipped on the icey steps, the cup fell, and it completely exploded. Absolutely none left in the busted cup.

For a day, I'd like to be an annoyance to the traitorous felon who is destroying my country. Every freaking day, I'm stressed by yet another proclamation that targets my friends, family, environment, wallet, or a combination of those. 

So I'd like to be at least an annoyance for a day, to him. Wet socks, broken shoe 👞 heel, hair won't sit right, every pen is out, leaks, or explodes ink everywhere. Stuff like that. Annoying and humiliating. Some extra chaos. 

Obviously, I cannot become this thing. Just a fictional fantasy. Probably wouldn't make a real difference. Almost nothing I do feels like it makes much of a difference anymore. But I try. I reach out to Congress almost daily, sometimes more than once a day. I'm sure it isn't helping my blood pressure or respiratory issues, but I'm trying. 

I'd want to be an annoyance to him for a day. He plans to cut off my medical care and income, which will result in my life ending. So, there's that. 

What comes next are quantum chemistry results, not part of the entry:
No. 1
# C5H6O2

An isolated molecule of C5H6O2 (the ωB97M-V functional and the def2-TZVPD basis, OMol25).

Output
max |F| = 0.489 eV Å⁻¹
LUMO level = 0.715 eV
orbital gap = 10.6 eV
ΔE to the lowest compared entry with this formula, charge and spin = 55.3 kcal per mole
electronic energy = -9374.69957 eV
structure (SMILES) = O=CCC#CCO

The geometry in ORCA input format:
```
! RIJCOSX wB97M-V def2-TZVPD def2/J DEFGRID3
* xyz 0 1
O 0.780 1.702 -3.325
O 0.354 -2.378 1.961
C 0.166 1.456 -1.036
C 0.333 0.979 -2.472
C -0.122 0.417 -0.046
C -0.604 -1.342 1.916
C -0.364 -0.375 0.829
H 0.015 -0.059 -2.700
H 1.226 -1.973 2.042
H -1.568 -1.837 1.769
H -0.664 -0.802 2.875
H -0.631 2.211 -1.041
H 1.078 2.002 -0.772
*
```

Results of the Löwdin charge analysis, in e, for atoms 1 through 5: 0.05 -0.06 -0.16 -0.25 -0.03


No. 2
# C50H145N23O17

A cluster of 17 separate species, C50H145N23O17 in total (the ωB97M-V functional and the def2-TZVPD basis, OMol25).

Output
max |F| = 8.226 eV Å⁻¹
LUMO level = -0.271 eV
orbital gap = 8.1 eV
ΔE to the lowest compared entry with this formula, charge and spin = 132.9 kcal per mole
electronic energy = -123276.33414 eV

The geometry in ORCA input format:
```
! RIJCOSX wB97M-V def2-TZVPD def2/J DEFGRID3
* xyz 0 1
O 0.563 -0.371 5.487
O -2.617 -4.233 -5.532
O -2.577 2.867 2.988
O 3.918 3.150 -1.279
O -0.816 3.552 -2.107
O -0.988 -1.248 1.595
O -5.537 -0.725 4.152
O -5.286 2.060 0.023
O 0.121 -4.937 -1.794
O 6.477 2.342 4.097
O -5.449 -2.046 0.187
O 3.666 6.596 0.815
O 2.155 3.209 -6.854
O -2.821 0.208 -3.933
O 3.185 -2.837 -3.867
O -1.289 -6.248 4.858
O 7.334 -1.479 2.092
N 0.577 4.994 -2.918
N 2.440 2.148 -2.537
N -3.701 1.323 -5.712
N -2.219 -7.199 -3.503
N 0.396 -4.833 3.240
N 3.909 1.985 1.471
N -3.881 -3.617 -0.333
N 4.006 -1.638 0.735
N -3.929 5.421 4.478
N 1.561 -2.259 2.637
N -5.283 2.936 3.113
N -0.475 0.452 -1.737
N -4.444 0.432 -1.156
N -3.046 -2.567 -2.886
N -5.461 -3.985 1.106
N 3.056 0.937 -5.442
N -4.022 2.463 -1.844
N -2.186 2.264 -4.490
N 4.249 2.866 -3.439
N -1.322 5.627 -2.756
N 3.079 -1.080 -2.452
N 1.548 4.133 0.503
N 4.395 -2.689 -1.933
C -0.100 6.041 0.598
C -0.323 0.762 5.726
C -1.337 -0.572 0.330
C 1.871 3.193 -8.253
C 3.499 -2.260 -2.797
C -1.414 -6.411 3.465
C -0.987 -6.720 -2.933
C -5.912 1.809 3.783
C 1.255 2.408 -6.101
C -4.610 1.719 -0.943
C -1.181 -4.769 1.382
C 4.395 7.609 1.536
C -1.114 -5.355 -2.399
C 0.869 -0.022 -5.104
C 1.148 -0.364 4.213
C -1.405 -3.658 -6.125
C 3.587 2.741 -2.327
C 0.161 -3.519 -1.596
C 1.410 5.591 0.447
C -1.421 2.665 2.182
C 8.556 -0.855 1.809
C -0.560 4.627 -2.509
C 0.096 -6.820 -4.048
C -2.471 5.014 4.230
C 5.076 3.928 1.972
C 1.421 -1.875 4.016
C 7.714 1.954 3.550
C 5.131 -2.201 1.443
C 2.761 -2.404 4.612
C -3.711 -3.322 -5.245
C -0.074 -0.236 -0.531
C -1.626 -7.420 5.625
C 5.180 2.447 1.981
C 5.134 -3.647 1.225
C -5.082 0.498 3.644
C -2.045 -1.414 2.452
C -5.409 -2.560 -3.508
C -0.936 -5.057 2.872
C -2.910 1.186 -4.614
C -4.025 -3.203 -3.744
C 6.356 -1.441 1.035

Thursday, February 13, 2025

Where Is My Money 💰

For followers of this blog, you know I lost a social media 🐦 account for a time. 

Well... so did someone else. And he's getting $10 million dollars. Hell... where is MY money??

🤦‍♀️ Wow. What a huge weight off of my mind. Between this and renaming a body of water, all our problems are solved. 😑 Smooth sailing from here on out. Yup. Perfect health, wealth, and love for the whole country now. Heck, the whole world. Utopian paradise ✨️ coming up! 🤨 Yup. Any second now. 🫣🤔 Yup...


Wednesday, February 5, 2025

IWSG cha cha changes

February 5 question - Is there a story or book you've written you want to/wish you could go back and change?

I started a story a few years ago, mostly to process and deal with the unbearable emotions I was facing. I never published it. I shared some of it with two people. There's almost nothing stopping me from making changes to it. 
  • I don't care enough
  • I can't figure out how to get Scrivener on a Chromebook ( *NOT a complaint or ingradititude -- an observation of my own ineptitude) 
    • My Samsung laptop won't work soon because of Windows update and such
      • I'm fucking poor
      • Probably gonna be more poor as food prices soar
        • I hate Trump
  • What I want to change depresses the shit out of me
So, I don't see this happening any time soon. 

There's another story I was working on. (Yup, also in Scrivener.) It's a YA. 
(There is no Caps Lock on Chromebook. Stop hitting Caps Lock, Jamie. Dammit.)
Anyhow, the tech doesn't fit. I don't know. I've been working on it for over a decade. 
And now, my main character would have much larger problems. Impossible ones. 

I don't know. I'm not okay. My friends aren't okay. Every day is a new, horrible, psychotic... 
A plane crashed in my old neighborhood the other day. 
Planes are falling from the sky. And the dipshit running the country is all, "we need to reduce the safety procedures and get rid of people!" 
Didn't see planes falling from the sky when Biden was president. Or birds. They found dead geese in a nearby lake, with the bird flu. No one is doing anything about that. 

I have zero chill. No focus. I just... 
I keep writing my useless Congress people.
And that story I was talking about? Yeah, my main character is a big supporter of someone who is currently a Congress person. And that person has taken a political nosedive. Abandoned a large chunk of what my main character admired. I already kill off her parents, have her betrayed by her family, lose a friend... now someone she looks up to fails? They were supposed to be the thing that propels her forward, that moves that final part so she is inspired to become the character at the ending. Now there's no decent reason for her choice. It's not a small rewrite, it's a plot overhaul. And I just don't feel like I have that in me. Not right now. 

Wednesday, January 8, 2025

Admiration #IWSG

I admired a woman, let's call her Soup. She spent a lot of time with me, for which I am grateful. She also spent a fair amount of time trying to get me to want to be someone else. Probably because she wanted to be someone else or maybe someone treated her that way? She lost a lot of interest in me when I became a teenager. Literally my 13th birthday. Suddenly I wasn't invited to things and we didn't hang out or anything. I don't know if it was me or her. I turned down a job at 16 because it was during hours she might call and want to do something. That call didn't come. A year later, a major and horrible, ultimately tragic, event happened. Soup knew it was coming but didn't tell me. Then blamed me for not knowing and thus not doing anything about it. We didn't speak for several years. Another death reconnected us a little. I now see a lot of the toxic traits. I see why she has lost most of her friends- she had an extensive network of people forty years ago. She's going through a hard time. I feel sympathy. But just the other day, we talked briefly, and she managed to mock me and call me names for ten minutes. I gave absolutely no response and she suddenly had to go and hung up. 

So yes, I admired someone and my opinion changed as I grew up. This example has been on my mind lately. A very complicated relationship which is mostly toxic.